Exercise =
Transcribe everything further below word for word.
Listing =
+++
Entry 1:
## BaGdInWO6 (PBE with a Hubbard U)

Data for a relaxed BaGdInWO6 crystal.

Properties
Total energy = -7.985 eV/atom
Volume = 15.525 Å³ per atom
Excess energy over the best structure of this formula in the dataset = 2 meV/atom
Theoretical density = 7.4 g/cm3
Energy of formation from the pure elements = -2702 meV/atom

Unit cell a=8.5172 b=8.5291 c=8.5486 alpha=90.00 beta=90.00 gamma=90.00
With the nearest neighbours (Å) after each atom.
Space group Pnnn (No. 48, origin choice 2)
Asymmetric unit:
Ba 0.2500 0.2500 0.2500 [2 per cell]  12 O 2.87-3.15
Ba 0.2500 0.2500 0.7500 [2 per cell]  12 O 2.94-3.08
Gd 0.0000 0.0000 0.0000 [4 per cell]  6 O 2.30-2.32
In 0.2500 0.7500 0.2500 [2 per cell]  12 O 2.89-3.16
In 0.2500 0.7500 0.7500 [2 per cell]  12 O 2.88-3.18
W 0.0000 0.0000 0.5000 [4 per cell]  6 O 1.96-1.97
O 0.0049 0.7294 0.0168 [8 per cell]  1 W 1.96
O 0.0069 0.5159 0.7710 [8 per cell]  1 W 1.96
O 0.2303 0.0198 0.4944 [8 per cell]  1 W 1.97

=====

Entry 2:
## BaGdInWO6 (PBE with a Hubbard U)

Data for a relaxed BaGdInWO6 crystal.

Properties
Total energy = -7.988 eV/atom
Volume = 15.524 Å³ per atom
Excess energy over the best structure of this formula in the dataset = 0 meV/atom
Theoretical density = 7.4 g/cm3
Energy of formation from the pure elements = -2704 meV/atom

Unit cell a=8.5314 b=8.5314 c=8.5314 alpha=90.00 beta=90.00 gamma=90.00
With the nearest neighbours (Å) after each atom.
Space group F-43m (No. 216)
Asymmetric unit:
Ba 0.0000 0.0000 0.0000 [4 per cell]  12 O 3.02
Gd 0.2500 0.2500 0.2500 [4 per cell]  6 O 2.30
In 0.0000 0.0000 0.5000 [4 per cell]  12 O 3.02
W 0.2500 0.2500 0.7500 [4 per cell]  6 O 1.96
O 0.0199 0.2500 0.7500 [24 per cell]  1 W 1.96

=====

Entry 3:
## KBaGdMo3O12 (PBE with a Hubbard U)

Data for a relaxed KBaGdMo3O12 crystal.

Properties
Total energy = -7.633 eV/atom
Volume = 15.857 Å³ per atom
Theoretical density = 4.7 g/cm3
Energy of formation from the pure elements = -2568 meV/atom

Unit cell a=17.6832 b=12.4085 c=5.4179 alpha=90.00 beta=106.19 gamma=90.00
With the nearest neighbours (Å) after each atom.
Space group C2 (No. 5)
Asymmetric unit:
K 0.1642 0.0000 0.1728 [4 per cell]  8 O 2.75-2.94
Ba 0.1661 0.2505 0.6743 [4 per cell]  8 O 2.70-2.91
Gd 0.0000 0.5107 0.5000 [2 per cell]  8 O 2.42-2.47
Gd 0.0000 0.7486 0.0000 [2 per cell]  8 O 2.36-2.54
Mo 0.0000 0.2772 0.0000 [2 per cell]  4 O 1.78-1.83
Mo 0.0000 0.9769 0.5000 [2 per cell]  4 O 1.78-1.82
Mo 0.1562 0.7370 0.6492 [4 per cell]  4 O 1.77-1.89
Mo 0.1565 0.5164 0.1499 [4 per cell]  4 O 1.76-1.88
O 0.0394 0.3561 0.7798 [4 per cell]  1 Mo 1.83
O 0.0386 0.8952 0.2833 [4 per cell]  1 Mo 1.82
O 0.0754 0.6641 0.4042 [4 per cell]  1 Mo 1.89
O 0.0756 0.5870 0.9046 [4 per cell]  1 Mo 1.88
O 0.0782 0.0614 0.6748 [4 per cell]  1 Mo 1.78
O 0.0786 0.1944 0.1766 [4 per cell]  1 Mo 1.78
O 0.1112 0.4389 0.3563 [4 per cell]  1 Mo 1.82
O 0.1112 0.8124 0.8551 [4 per cell]  1 Mo 1.80
O 0.2052 0.4264 0.9931 [4 per cell]  1 Mo 1.76
O 0.2070 0.8249 0.4935 [4 per cell]  1 Mo 1.77
O 0.2298 0.5964 0.3620 [4 per cell]  1 Mo 1.78
O 0.2301 0.6583 0.8648 [4 per cell]  1 Mo 1.78

=====

Entry 4:
## BaLiGd2Mo4O16 (PBE with a Hubbard U)

Data for a relaxed BaLiGd2Mo4O16 crystal.

Properties
Total energy = -8.048 eV/atom
Volume = 13.852 Å³ per atom
Theoretical density = 5.5 g/cm3
Energy of formation from the pure elements = -2601 meV/atom

Unit cell a=5.3198 b=12.8367 c=19.4789 alpha=90.00 beta=91.33 gamma=90.00
With the nearest neighbours (Å) after each atom.
Space group C2/c (No. 15)
Asymmetric unit:
Ba 0.0000 0.0285 0.2500 [4 per cell]  8 O 2.71-3.01
Li 0.0000 0.3182 0.2500 [4 per cell]  4 O 2.03-2.20
Gd 0.0001 0.1443 0.0322 [8 per cell]  8 O 2.38-2.53
Mo 0.0012 0.2608 0.6500 [8 per cell]  4 O 1.77-1.85
Mo 0.0097 0.4395 0.0930 [8 per cell]  4 O 1.79-1.88
O 0.1294 0.4150 0.3255 [8 per cell]  1 Mo 1.79
O 0.1430 0.1453 0.8200 [8 per cell]  1 Mo 1.77
O 0.1594 0.3293 0.0450 [8 per cell]  1 Mo 1.88
O 0.1640 0.2397 0.5684 [8 per cell]  1 Mo 1.85
+++
Written answer =
Entry 1:
## BaGdInWO6 (PBE with a Hubbard U)

Data for a relaxed BaGdInWO6 crystal.

Properties
Total energy = -7.985 eV/atom
Volume = 15.525 Å³ per atom
Excess energy over the best structure of this formula in the dataset = 2 meV/atom
Theoretical density = 7.4 g/cm3
Energy of formation from the pure elements = -2702 meV/atom

Unit cell a=8.5172 b=8.5291 c=8.5486 alpha=90.00 beta=90.00 gamma=90.00
With the nearest neighbours (Å) after each atom.
Space group Pnnn (No. 48, origin choice 2)
Asymmetric unit:
Ba 0.2500 0.2500 0.2500 [2 per cell]  12 O 2.87-3.15
Ba 0.2500 0.2500 0.7500 [2 per cell]  12 O 2.94-3.08
Gd 0.0000 0.0000 0.0000 [4 per cell]  6 O 2.30-2.32
In 0.2500 0.7500 0.2500 [2 per cell]  12 O 2.89-3.16
In 0.2500 0.7500 0.7500 [2 per cell]  12 O 2.88-3.18
W 0.0000 0.0000 0.5000 [4 per cell]  6 O 1.96-1.97
O 0.0049 0.7294 0.0168 [8 per cell]  1 W 1.96
O 0.0069 0.5159 0.7710 [8 per cell]  1 W 1.96
O 0.2303 0.0198 0.4944 [8 per cell]  1 W 1.97

=====

Entry 2:
## BaGdInWO6 (PBE with a Hubbard U)

Data for a relaxed BaGdInWO6 crystal.

Properties
Total energy = -7.988 eV/atom
Volume = 15.524 Å³ per atom
Excess energy over the best structure of this formula in the dataset = 0 meV/atom
Theoretical density = 7.4 g/cm3
Energy of formation from the pure elements = -2704 meV/atom

Unit cell a=8.5314 b=8.5314 c=8.5314 alpha=90.00 beta=90.00 gamma=90.00
With the nearest neighbours (Å) after each atom.
Space group F-43m (No. 216)
Asymmetric unit:
Ba 0.0000 0.0000 0.0000 [4 per cell]  12 O 3.02
Gd 0.2500 0.2500 0.2500 [4 per cell]  6 O 2.30
In 0.0000 0.0000 0.5000 [4 per cell]  12 O 3.02
W 0.2500 0.2500 0.7500 [4 per cell]  6 O 1.96
O 0.0199 0.2500 0.7500 [24 per cell]  1 W 1.96

=====

Entry 3:
## KBaGdMo3O12 (PBE with a Hubbard U)

Data for a relaxed KBaGdMo3O12 crystal.

Properties
Total energy = -7.633 eV/atom
Volume = 15.857 Å³ per atom
Theoretical density = 4.7 g/cm3
Energy of formation from the pure elements = -2568 meV/atom

Unit cell a=17.6832 b=12.4085 c=5.4179 alpha=90.00 beta=106.19 gamma=90.00
With the nearest neighbours (Å) after each atom.
Space group C2 (No. 5)
Asymmetric unit:
K 0.1642 0.0000 0.1728 [4 per cell]  8 O 2.75-2.94
Ba 0.1661 0.2505 0.6743 [4 per cell]  8 O 2.70-2.91
Gd 0.0000 0.5107 0.5000 [2 per cell]  8 O 2.42-2.47
Gd 0.0000 0.7486 0.0000 [2 per cell]  8 O 2.36-2.54
Mo 0.0000 0.2772 0.0000 [2 per cell]  4 O 1.78-1.83
Mo 0.0000 0.9769 0.5000 [2 per cell]  4 O 1.78-1.82
Mo 0.1562 0.7370 0.6492 [4 per cell]  4 O 1.77-1.89
Mo 0.1565 0.5164 0.1499 [4 per cell]  4 O 1.76-1.88
O 0.0394 0.3561 0.7798 [4 per cell]  1 Mo 1.83
O 0.0386 0.8952 0.2833 [4 per cell]  1 Mo 1.82
O 0.0754 0.6641 0.4042 [4 per cell]  1 Mo 1.89
O 0.0756 0.5870 0.9046 [4 per cell]  1 Mo 1.88
O 0.0782 0.0614 0.6748 [4 per cell]  1 Mo 1.78
O 0.0786 0.1944 0.1766 [4 per cell]  1 Mo 1.78
O 0.1112 0.4389 0.3563 [4 per cell]  1 Mo 1.82
O 0.1112 0.8124 0.8551 [4 per cell]  1 Mo 1.80
O 0.2052 0.4264 0.9931 [4 per cell]  1 Mo 1.76
O 0.2070 0.8249 0.4935 [4 per cell]  1 Mo 1.77
O 0.2298 0.5964 0.3620 [4 per cell]  1 Mo 1.78
O 0.2301 0.6583 0.8648 [4 per cell]  1 Mo 1.78

=====

Entry 4:
## BaLiGd2Mo4O16 (PBE with a Hubbard U)

Data for a relaxed BaLiGd2Mo4O16 crystal.

Properties
Total energy = -8.048 eV/atom
Volume = 13.852 Å³ per atom
Theoretical density = 5.5 g/cm3
Energy of formation from the pure elements = -2601 meV/atom

Unit cell a=5.3198 b=12.8367 c=19.4789 alpha=90.00 beta=91.33 gamma=90.00
With the nearest neighbours (Å) after each atom.
Space group C2/c (No. 15)
Asymmetric unit:
Ba 0.0000 0.0285 0.2500 [4 per cell]  8 O 2.71-3.01
Li 0.0000 0.3182 0.2500 [4 per cell]  4 O 2.03-2.20
Gd 0.0001 0.1443 0.0322 [8 per cell]  8 O 2.38-2.53
Mo 0.0012 0.2608 0.6500 [8 per cell]  4 O 1.77-1.85
Mo 0.0097 0.4395 0.0930 [8 per cell]  4 O 1.79-1.88
O 0.1294 0.4150 0.3255 [8 per cell]  1 Mo 1.79
O 0.1430 0.1453 0.8200 [8 per cell]  1 Mo 1.77
O 0.1594 0.3293 0.0450 [8 per cell]  1 Mo 1.88
O 0.1640 0.2397 0.5684 [8 per cell]  1 Mo 1.85